There are a ton of things you need to pay attention to when you’re serious about hydroponics. Vapor pressure deficiency, or VPD, is another one. However, it’s not the first thing you learn about when figuring out hydroponic growing. That said, it’s no less important than your supplemental lighting, nutrient mix, or watering schedule.

What is Vapor Pressure Deficiency?
We all know that air holds some moisture. We often refer to this as humidity. What makes air more or less humid is the amount of water vapor in it. If we say the air has 60% relative humidity, that means that of all the water available, the air is holding about 60% of what it possibly can.
Vapor Pressure Deficiency, or VPD, takes Relative Humidity (RH) and combines it with the atmospheric pressure of a given area.
The higher the humidity, the greater the pressure of the air is on plants.
By definition, a deficit is a measure of the shortage needed for a certain goal or benchmark. While many industries use the term deficit in regards to monetary issues, we’re still talking about humidity and air pressure. Assuming 100% relative humidity is the benchmark, VPD shows the difference in what relative humidity should be, and what it actually is. Naturally, your theoretical VPD depends a lot on temperature. The higher the temperature, the more water vapor the air can hold.
AVP, or Actual Vapor Pressure, is another way to describe how much water vapor (i.e. humidity) is in the air.
There is a limit to how much water the air can hold however, and this is called the SVP, or Saturation Vapor Pressure. At any given temperature, the maximum saturation is 100%.
So, let’s look at a quick summary of important points:
- SVP lowers as temperature decreases. Thus, when maximum saturation occurs, and temperature lowers, water accumulates as droplets and dew on surfaces.
- AVP tells you the amount of water vapor in the air, in present conditions.
- VPD shows the difference between what the theoretical saturation of water in air should or could be, and what it actually is.
- Higher temperatures allow more water vapor in the air. However, after a certain point, if temperatures cool down, water molecules gather on solid surfaces, since the cooler air can no longer hold them.
- RH tells you how much water vapor is in the air, versus what it could possibly contain.
Why Pay Attention to Vapor Pressure Deficiency?
Now you know that relative humidity shows what the amount of water vapor water in the air is. Before you understand why you need to pay attention to vapor pressure deficiency, you should also know why relative humidity is important to plants.
How relative humidity affects plants
If relative humidity is under 100%, that means there’s a possibility for the air to hold more water than it currently does. Plants have stomata on their leaves, which are like little pores. They open and close these pores to allow them to release water vapor. This process is called transpiration. However, it isn’t always entirely up to the plant. If a plant is in really dry conditions, it doesn’t necessarily stop releasing water vapor, even though it may need to hold onto it.
More humidity generally means less transpiration.
Less humidity generally means more transpiration.
Transpiration serves some important functions that allow plants to grow. Much like humans, plants sweat to cool themselves down. However, as plants release water vapor during transpiration, it helps bring more water and nutrients to the leaves. This is because the release of water vapor creates a pressure deficit within the plant itself.
If humidity is too high, plants may not be able to get enough nutrients to their leaves. If humidity is too low, plants may lose more moisture than they’re able to take back in.
How VPD affects transpiration
As we mentioned, the higher the humidity, the less water vapor plants release, and vice versa. Our atmosphere, or the air therein, contains plenty of gasses. While nitrogen and oxygen make up most of our air (78% and 21%, respectively), there are other trace gases in there too. It’s a long list, but what you need to know right now is that water vapor is one of them.
The amount of water vapor in the air changes with temperature, but the pressure it adds is called vapor pressure.
When plants release water vapor through their stomata, it’s naturally at about 100% relative humidity. Of course, this quickly mixes with air, and affects the ambient humidity.
While the vapor pressure deficit describes the difference in what the air can potentially hold and what it’s actually holding, plants react differently to it. Higher vapor pressure is something plants can ‘feel’ to determine how much water they can release. The higher the vapor pressure is, the more it ‘presses’ on the plant’s leaves, making it more difficult to release water vapor.
If there’s a higher VPD, plants lose more moisture, because the air isn’t at its full potential, and naturally takes in more.
With a lower VPD, plants don’t transpire as much, because the air around them can’t hold as much water vapor.
Calculated molecules from another source follow:
-- begin --
Entry 1:
-- stop --
The text goes on:
VPD up, RH down
When you first start looking at measurements for VPD and RH, you’ll find that they display inversely. The higher the RH, the lower the VPD. That’s because the closer to 100% the relative humidity is, the less room there is for the air to hold more water vapor. If the RH is lower, the VPD gets higher. If there isn’t much humidity in the air, there’s plenty of room for the air to take in more moisture.
For example: if the RH is 30%, the VPD is much higher, since the air is only holding 30% of what it’s capable of. There’s still another 70% that the air can potentially take in.
Managing VPD for Better Growth
Plants take in a lot of water, but they lose most of it through transpiration. The truth is, water is really useful in transporting the nutrients that plants need. Once it’s no longer useful, plants release it into the air through the stomata on their leaves.
Plants only hold onto about 10% of the water they take in. The rest is released through transpiration.
If plants can’t take in, and release, the necessary amounts of water, a few things happen:
- Plants may have stunted growth
- Nutrient deficiencies show in leaves
- Plants may droop or wilt
- Temperature regulation is more difficult for plants
- Photosynthesis is not as efficient
- You lose maximum growth over time
What is the ideal VPD?
The factors that go into an accurate answer for this are numerous. First, the type of plant plays a huge part. Next, the ambient temperature also affects an ideal VPD. Of course, your plant’s growth stage (whether vegetative or flowering) also impacts the ideal vapor pressure deficiency.
However, you can use general guidelines for most plants. To do it successfully though, you can’t look at humidity alone. Temperature is one of the most important things affecting VPD. While 50% relative humidity might be good for flowering plants, that’s assuming your temperature is between 23 and 27 degrees celsius. If the temperature goes to 28 degrees or above, even a relative humidity of 50% causes plants to over transpire.
Likewise, many growers suggest a relative humidity of 70% for plants in their vegetative stage. However, that’s when temperatures fall between 26 and 32 degrees. If the temperature is lower, plants transpire too little. If it’s higher, plants experience too much transpiration.
The thing is, VPD doesn’t just take humidity into account, it also considers temperature, and how much water vapor air can actually hold.
Problems With Poor Humidity Control
We already know that plants don’t grow as well if you don’t have the right humidity. How it affects plants can depend on whether your RH and VPD are too low or too high. That’s not the only issue, though. When your humidity is too high, all kinds of problematic things pop up within your grow area.
Mildew and mild are major concerns, especially powdery mildew. Powdery mildew is a fungus that grows on plants, creating a whitish, powdery looking residue on their leaves. It shows up in spots, or colonies, and spreads throughout the plant, often spreading to other plants in your grow area.
Guttation is another concern when you don’t have proper humidity control. Unfortunately, guttation only increases the risk of bacterial and fungal infections to your plants. When plants can’t transpire as they need to, pressure builds up within them. Remember how transpiration creates the negative pressure that allows plants to move nutrients? Well, when you have a really low VPD (meaning a very high relative humidity) plants hardly transpire at all. While plants continue trying to take in water, this pressure increases, especially in their leaves.
A plant can only build so much internal pressure from excess moisture. After a while, the plant has to find a way to get rid of excess water, whether or not it can transpire. This is when guttation occurs. Basically, plants have to push water out through the margins of their leaves, which appears as small water droplets. However, you might not always see these droplets. Sometimes the water evaporates, or edges dry out, resembling tip burn. If the water evaporates before you see it, you’ll still usually see the evidence left behind. Look for whitish, almost granular spots on leaf edges. They look much like salt left behind after drops of seawater evaporate. That tells you that guttation is happening, and you need to lower your humidity ASAP.
Frequently Asked Questions
How can I measure humidity?
A hygrometer is the best tool you can use for measuring relative humidity. They’re not expensive, but they make a huge difference in how well you can regulate your plants’ environment. Based on your RH, you can use a VPD chart to determine optimal conditions. True VPD measurements also take into account the leaf temperature. However, most VPD charts assume that leaf temperature is about 1 degree celsius lower than ambient (air) temperature.
Do I need to measure leaf temperature for VPD?
In some cases, such as commercial growing, leaf temperature is a more relevant metric. However, even for commercial operations, measuring leaf temperature can be difficult. VPD is more of a guideline measurement, and assuming leaf temperature is about 1 degree celsius lower than air temperature is fine.
Misplaced quantum chemistry results >
- - -
Record 1
# C27H39BaN4O2Se2

A structure of composition C27H39BaN4O2Se2 (the ωB97M-V functional and the def2-TZVPD basis, the OMol25 dataset).

```
75
Properties=species:S:1:pos:R:3
Ba -0.8374 -0.1479 -0.5403
Se -0.2052 -4.2636 -1.8205
Se -1.7158 -4.5954 -0.0675
O -2.4533 1.6817 -0.9760
O -1.3744 -1.6459 1.6291
N -3.4815 3.5821 -0.2845
N 1.0077 -2.4773 0.0136
N -2.9956 -2.2357 -0.9978
N 1.1612 1.3663 0.0794
C 2.2265 3.1907 1.5980
C -2.3959 -1.9595 2.5787
C -3.1755 -3.5243 -0.7225
C -2.6447 2.9056 -1.0512
C 2.5239 -3.9318 -1.1276
C -5.3092 -2.0983 -1.6249
C -0.1981 2.8944 1.3455
C 2.1755 0.1420 -1.7009
C 2.9355 -1.2292 -3.6588
C 2.0572 -1.9228 0.6292
C 6.0561 1.6987 -1.0316
C 1.1382 2.1402 1.3401
C 1.1525 1.1753 2.5356
C -4.3977 -4.1679 -0.8718
C 3.6390 1.5109 -0.4375
C 3.1968 -0.2573 -2.5395
C -1.8365 -2.1489 3.9693
C 4.6855 1.1190 -1.2672
C -4.2693 2.9395 0.7522
C -5.4859 -3.4376 -1.3225
C 1.2516 -3.4606 -0.8456
C 3.3680 -2.3107 0.4091
C 2.3110 1.0602 -0.6166
C -4.0482 -1.5518 -1.4497
C -3.6545 5.0200 -0.4533
C 4.4780 0.2397 -2.3189
C 3.6025 -3.3326 -0.4916
H 1.8346 -1.1122 1.3123
H -1.0517 2.2136 1.2669
H 1.2092 -0.2943 -1.9355
H 2.8256 -2.2499 -3.2875
H 1.0636 1.6993 3.4909
H -2.6418 -2.3160 4.6846
H 3.8897 2.1995 0.3448
H -0.2374 3.5832 0.4992
H -4.1483 1.8630 0.6816
H -6.1198 -1.4863 -1.9926
H -1.1734 -3.0148 4.0098
H -6.4474 -3.9159 -1.4526
H -4.4861 -5.2221 -0.6513
H 0.3305 0.4520 2.4785
H -2.1054 3.5066 -1.7905
H -3.8784 -0.5032 -1.6788
H -1.2734 -1.2700 4.2824
H 4.1727 -1.8096 0.9260
H -3.5466 5.5135 0.5121
H -3.0946 -1.1224 2.5452
H 2.6696 -4.7410 -1.8296
H 2.0219 -0.9801 -4.2029
H 6.0800 2.7571 -1.2984
H -2.9345 -2.8519 2.2423
H 3.1611 2.7515 1.9357
H -4.6440 5.2358 -0.8564
H -0.3344 3.4643 2.2670
H -5.3197 3.1979 0.6199
H 1.8921 3.8588 2.3947
H 4.6100 -3.6688 -0.6975
H -2.8947 5.4014 -1.1304
H -0.7014 -2.3419 1.6019
H -3.9383 3.2841 1.7328
H 2.0922 0.6183 2.5490
H 3.7564 -1.2289 -4.3746
H 2.4195 3.7973 0.7127
H 6.3438 1.6239 0.0184
H 6.8107 1.1889 -1.6287
H 5.2999 -0.0480 -2.9630
```

- Frontier orbital gap: 5.65 eV
- Charge: +1

Atomic partial charges in e from the Löwdin method, atoms 1 to 5: atom 1 (Ba): 1.95, atom 2 (Se): 0.71, atom 3 (Se): 0.71, atom 4 (O): -0.33, atom 5 (O): -0.33

Record 2
# C27H39Br24F10N6O2P2

A structure of composition C27H39Br24F10N6O2P2 (the ωB97M-V functional and the def2-TZVPD basis, the OMol25 dataset).

```
110
Properties=species:S:1:pos:R:3
Br -6.6529 2.5126 -0.9356
Br -4.2560 2.7847 -3.0312
Br -9.8288 2.3728 -3.9986
Br 9.1845 -1.4718 2.9776
Br 11.9204 -2.9441 3.7099
Br 1.1664 -3.0205 8.3831
Br -0.8052 -0.9811 9.8513
Br 9.2342 -3.6983 5.2653
Br -1.8533 -3.8710 8.9812
Br 1.2827 -6.6149 -7.4988
Br 0.8553 7.0551 -4.2999
Br -3.8647 3.7623 -0.0155
Br 5.9229 -1.5361 3.7994
Br 1.5622 -2.7523 -9.5571
Br -9.7806 0.2268 -1.6327
Br -1.4945 -3.2416 -8.7749
Br 2.8275 -5.4282 -4.9709
Br 0.5794 -2.2483 -6.5626
Br 0.7966 9.9352 -2.9157
Br 3.9577 -2.1638 6.2450
Br -1.6823 7.9591 -2.5498
Br -0.2290 -6.3343 -4.6993
- - -
The quantum chemistry results stop here >
Is VPD important at night?
One of the main reasons VPD is so important is because it allows plants to transpire. At night plants close their stomata. This means they really aren’t transpiring, and as a result, you don’t need to worry about how the atmosphere affects their ability to transpire. Some growers like to watch their vapor pressure deficiency at night to maintain more consistent conditions for their plants. However, it’s not required- transpiration isn’t taking place anyway.